Is Jesus Your Source? Pt 2

Mark 6:30-44

Message #22

This is a Part Two message. Part One was the last message, titled Is Jesus Your Source, and it’s best to hear that first message to go along with this one. In that first message, we saw Jesus purposefully take his exhausted, stretched-to-the-breaking-point Disciples into an unexpected pressure-filled situation so that they might learn the critical and life-changing lesson that Jesus would be their source, for all that they need, in every situation, in order to do all that Jesus would call them to do.

And we said that Jesus often teaches us this same lesson, this same way by trying to reveal himself to us right in the middle of a stretched-to-the-breaking-point, pressure-filled situation in our own lives; where we are forced to look to Jesus to be our source for all that we need to get through that crisis situation. This is exactly what we saw the Disciples experience in our last message.

And as we ran out of time in our message last week, I quickly summarized some practical steps in order to answer the question… how can we actually begin experiencing Jesus as the source for all that we need in every situation? How can we NOT just hear it? How can we NOT just intellectualize it? But, instead, how can we begin to see this incredible truth actually transform our lives? That is our goal today.

So, today, we want to look at some practical steps for you and I to actually begin experiencing the truth that Jesus Christ is truly the source for ALL that we need in every situation in order to do all that he has called us to do.

And first, we have to look at a stage setting prerequisite. This is the prerequisite for us to begin moving toward Jesus becoming our source. First of all, we have to be willing to throw out all of our own thinking because our natural thinking – is stinking.

Isaiah 55:8–9 (NLT)
8 “My thoughts are nothing like your thoughts,” says the Lord. “And my ways are far beyond anything you could imagine.
9 For just as the heavens are higher than the earth, so my ways are higher than your ways and my thoughts higher than your thoughts.

Guys, God is not our equal, and our logic and our thinking are NOT equal to God’s.
And so, if we are going to be transformed by God, then our natural thinking must be put aside. The Bible calls our “natural thinking” the “sin nature” – or simply, “the flesh.” Listen to what Paul says in Romans 8 about us setting our minds according to “the flesh.”

Romans 8:5–6 (ESV)
5 For those who live according to the flesh set their minds on the things of the flesh, but those who live according to the Spirit set their minds on the things of the Spirit.
6 For to set the mind on the flesh is death, but to set the mind on the Spirit is life and peace. 

For Jesus to become our source, we’ve got to stop setting our minds on the flesh (our own thinking), and instead, start setting our minds on the Spirit (the things of God).

Romans 12:2 says be transformed by renewing your thoughts, by renewing your mind. We’ve got to crucify our own thinking and take on God’s thinking.
I believe this is actually the hardest part of the entire process because we love our own thinking. It’s hard because we love ourselves dearly. We love what we think. We think that what we think is right because we think it. Right? You think, well, it’s what I think, it must be right. No! But, the process of us making Jesus our source begins with us taking on God’s thinking and crucifying our own thinking.

Here’s crucifying the flesh. "Okay, that’s my thought, so it’s obviously wrong. If I start with that, and I say if that’s my natural way of thinking, all I know is it’s wrong. So, I’m going to see what God says and then replace my natural thinking with God’s thinking."

So, with that critical prerequisite, we are now ready for just two huge truths to set us on our way to Jesus truly being our source for all we need in every situation, to do all that he has called us to do. Just two huge truths. One is practical, and one is relational.

1). Keep following Jesus – no matter what.
2). Draw closer to Jesus – because of your need.

So, first, let’s talk about what it looks like to keep following Jesus, no matter what. The number one thing we’ve got to keep doing in order to keep following Jesus is

#1) Keep obeying Jesus – no matter what you think.

We just addressed the fact that our own thinking must be replaced with God’s thinking. I’ve said this a hundred times to you. The single, craziest thing I hear people in Church say is, “I know what God says, but here’s what I think.” And, you know, that just amazes me every time I hear it.

And so, there’s this battle in our lives – the Spirit versus the flesh. Galatians 5:16 and following just nail it. We actually know what God says to do, but we have the ability to convince ourselves to do otherwise. Listen, this is a practical step to preparing an environment where Jesus can be your source, your true source for all you need in every situation.

Following Jesus – no matter what, that means obeying Jesus – no matter what you think.

Jesus says – Love. You love.
Jesus says – Forgive. You forgive.
Jesus says -Give them the grace I’ve given you. You give the grace.

It’s kind of like “Simon Says” but it’s God Says.

In fact, Jesus says in John 14:15,

John 14:15 (AMP)
15 If you [really] love Me, you will keep (obey) My commands.

My friend, Dave Colyar (who’s going to Israel next month with us), says it this way. If you’re happy and you know it clap your hands. If you’re a Christ-follower and you know it, be obedient. 

When you need Jesus to be your source, that is the most critical time to keep obeying him. That is not the time to put your own thinking over God’s commands.

So, to keep following Jesus no matter what
#1) Keep obeying Jesus – no matter what you think.

The second thing we’ve got to do is
#2) Keep serving Jesus – no matter how you feel

If you are a Christ-follower today, then you are, in some way, serving Jesus. And often, very often, the environment where we finally learn that Jesus is truly our source for all that we need – is in serving him.

Because serving Jesus crushes our self-will. It crushes our pride, and it crushes our determination to do things our way. Remember, this is how Jesus broke these same sins in his first Disciples. It was through the pressure of serving him (we saw that in the last message). But sadly, we see far too often, instead of people being transformed in serving; instead, they quit serving Jesus.

They quit serving in order to avoid the Refiner’s fire that Jesus wants to use to get us to the place of knowing that he – himself – is truly the source for all we need in order to do all that he has called us to do. Don’t quit. If you stay in there, you will learn that Jesus is your source.

Finally, in order to keep obeying Jesus and keep serving Jesus,
#3) We’ve got to keep our eyes firmly fixed on Jesus. 

Colossians 3:1–3 (NLT)
1 . . . set your sights on the realities of heaven . . . 2 Think about the things of heaven, not the things of earth. 3 For you died to this life, and your real life is hidden with Christ in God. 

Too often, we try to get God to set his sights on our realities here on earth. But God says, no, you set your sights on the realities of heaven and the things of heaven, then I will be your source for all you need.

These are the practical things for us to do in order to keep following Jesus, no matter what. We’ve got to:

Keep obeying
Keep serving
Keep our eyes fixed on Jesus

And these practical truths will enable us to ultimately see that Jesus is our source.

But the conduit, the way in which we receive all that we need from Jesus as our source, is not practical – it’s relational. The conduit through which Jesus pours his provision into us is our daily relationship with him. It is within our daily relationship with Jesus, where the power of his provision really becomes ours.

So, if Jesus is going to be the source for all we need, then we must draw closer to Jesus because of our need. This is our second big truth today.

The first was: keep following Jesus, no matter what.
And now the second is: draw closer to Jesus – because of our need.

Here the page breaks off for molecular data:
(w)
{
  "formula": "C5H7NO2",
  "method": "ωB97M-V/def2-TZVPD",
  "spin_multiplicity": 1,
  "smiles": "C/C=C\\[C@@H]1OC=NO1",
  "gap_ev": 9.4662,
  "species": ["C", "C", "C", "C", "O", "C", "N", "O", "H", "H", "H", "H", "H", "H", "H"],
  "coordinates": [[-1.9874, -0.7198, 0.2767], [-1.4071, 0.5766, -0.3750], [-0.0607, 0.9924, -0.3410], [0.9495, 0.5674, 0.6357], [2.2972, 0.5851, 0.3887], [2.4996, -0.4888, -0.3545], [1.3206, -1.3935, -0.4991], [0.4936, -0.8449, 0.5911], [-2.7922, -0.2340, 1.2038], [-1.1707, -1.4895, 0.4910], [-2.5208, -1.3265, -0.5772], [-2.1101, 1.1482, -1.1885], [0.1622, 1.9664, -0.9144], [0.9842, 0.9201, 1.6313], [3.3420, -0.2591, -0.9687]]
}

***

(x)
{
  "formula": "C5H7NO2",
  "method": "ωB97M-V/def2-TZVPD",
  "spin_multiplicity": 1,
  "smiles": "O=CCC(=O)N1CC1",
  "gap_ev": 10.7414,
  "species": ["O", "C", "C", "C", "O", "N", "C", "C", "H", "H", "H", "H", "H", "H", "H"],
  "coordinates": [[-0.6699, 1.8754, -1.0683], [0.3239, 1.4978, -1.6533], [1.0601, 0.2222, -1.3182], [0.0942, -0.7501, -0.5558], [-0.7365, -1.2741, -1.2697], [0.1548, -0.7672, 0.8219], [-0.9610, -1.1692, 1.5971], [-0.3052, 0.1804, 1.7369], [0.7690, 2.0433, -2.5829], [2.0357, 0.3889, -0.7444], [1.3987, -0.2914, -2.1965], [-0.6958, -2.0403, 2.2495], [-1.9748, -1.3889, 1.1909], [-0.9394, 1.0392, 1.3264], [0.4463, 0.4340, 2.4664]]
}

***

Each structure's energy above the most stable one, in kJ/mol: (w) 491.8; (x) 0.0.

***

(w)
{
  "formula": "C5H7NO2",
  "method": "ωB97M-V/def2-TZVPD",
  "spin_multiplicity": 1,
  "smiles": "C=C/C(=N/O)[C@H]1CO1",
  "gap_ev": 8.6165,
  "species": ["C", "C", "C", "N", "O", "C", "C", "O", "H", "H", "H", "H", "H", "H", "H"],
  "coordinates": [[2.8403, -0.0573, 0.0559], [1.4691, -0.3378, -0.1078], [0.1867, 0.3787, -0.0427], [0.3175, 1.7165, -0.2976], [-0.9155, 2.3636, 0.1484], [-0.9154, -0.6665, -0.2698], [-1.9541, -0.6536, 0.6347], [-2.2149, -0.1611, -0.7364], [3.2481, 0.8660, -0.1282], [3.4096, -1.0887, 0.0224], [1.3667, -1.4888, -0.2452], [-1.4434, 1.7774, -0.4749], [-0.6861, -1.4530, -0.8099], [-1.8283, 0.1313, 1.4473], [-2.8803, -1.3268, 0.8039]]
}

***

(x)
{
  "formula": "C5H7NO2",
  "method": "ωB97M-V/def2-TZVPD",
  "spin_multiplicity": 1,
  "gap_ev": 9.2012,
  "species": ["C", "C", "C", "C", "C", "O", "O", "N", "H", "H", "H", "H", "H", "H", "H"],
  "coordinates": [[1.7573, 0.1080, 0.2326], [-0.4251, 1.4711, -0.4860], [-1.3683, -0.6906, -0.1522], [0.3524, 0.2303, -0.2579], [-1.0437, 0.5438, 0.5619], [-2.4065, -1.4885, 0.0269], [2.0120, -1.1456, 0.8145], [-0.3060, -0.9174, -0.8866], [-2.2879, -2.2835, -0.5144], [1.5580, -1.8031, 0.2656], [2.4244, 0.2848, -0.6300], [1.9625, 0.8741, 0.9863], [0.0103, 2.3803, -0.0892], [-0.9402, 1.6009, -1.4340], [-1.2992, 0.8355, 1.5624]]
}

***

(y)
{
  "formula": "C5H7NO2",
  "method": "ωB97M-V/def2-TZVPD",
  "spin_multiplicity": 1,
  "smiles": "COc1[nH]ccc1O",
  "gap_ev": 7.9713,
  "species": ["C", "O", "C", "N", "C", "C", "C", "O", "H", "H", "H", "H", "H", "H", "H"],

The place where the miraculous provision of Jesus occurs is within our continually-growing relationship with him. Our daily relationship with Jesus is the conduit – it is the pipeline through which Jesus pours all that we need into our lives.

That does not mean Jesus is going to magically pour into your life a new car, a better job, and a better husband. Instead, he is going to pour into you all that you need in each of these situations.

And so, to create the conduit to receive the provision Jesus has for us, we must draw closer to Jesus because of our need. Isn’t it strange that when we need Jesus the most, we tend to drift the furthest away from him, relationally?

But haven’t you seen or experienced when a young child has a good relationship with their parents when they get hurt, they run straight to mom or dad, and no one else and nothing else can comfort them. They run crying into their mom or dad’s arms and their mom or dad holds them tight and tells them it’s going to be okay. And it’s going to be okay.

And that is the relationship we need with Jesus. A relationship strong enough and trusting enough that we instinctively run to Jesus and hear him tell us – "it’s going to be okay.”

Hebrews 4:15–16 (paraphrase) says – Jesus, our High Priest, understands our weaknesses. So we can confidently run to him, to receive his mercy and grace to help us when we need it most. 

But do we? Do we run confidently to Jesus in our times of crisis, or do we run after our own devices and our own thinking like a chicken with its head cut off?

This is a learned relational response. We have got to learn how to confidently run to Jesus as our source for all we need in every situation.

But here, now, is the massive truth. This “relational conduit” where Jesus provides all that we need for every situation – it is conditional.

James 4:8 (ESV)
8 Draw near to God, and he will draw near to you . . . 

This is actually a conditional statement. The Lord of Creation is waiting to provide all that you need in your crisis situation. But, if you do not draw near to him, he will not have the conduit to pour his provision into you.

Can I tell you something, please, in love? I’ve met a lot of Christians who want what the Bible promises, but aren’t willing to do what the Bible requires.

Listen, guys, salvation is by faith alone. But transformation comes through the conduit of a growing, daily relationship with Jesus. Let’s look again at James 4:8.

James 4:8 (ESV)
8 Draw near to God, and he will draw near to you . . . 

John 15:4 (ESV)
4 Abide in me, and I (will abide) in you. As the branch cannot bear fruit by itself, unless it abides in the vine, neither can you, unless you abide in me. 

These are conditional statements. If we want God to draw near to us, then we must draw near to him. If we want to experience the miraculous provision of Jesus, then we must learn to always be abiding in Christ.

Again, in love. Too many Christians want the miraculous provision Jesus offers. But they won’t put in the effort to build the relationship that is the conduit for that miraculous provision.

Picture this. You say to Jesus; I need you to be my source to get through this situation. And Jesus says okay, where’s the conduit for me to pour into you all that you need? Jesus is able to be your source. He wants to be your source. But there is no conduit for him to deliver his miraculous provision to you. And so, Jesus is there waiting, and as so as you provide him the daily relational conduit, Jesus will be like, “Finally! Here you go then. I’ve just been waiting for you to create the conduit that will allow you to receive my provision.”

So, last week, we asked the question, Is Jesus Your Source? Today, we’ve tried to see how to make Jesus your source for all that you need in every situation in order to do all that he has called you to do. And we said the prerequisite is to throw out all of your own thinking.

And then, one practical truth. Keep following Jesus – no matter what.
Keep obeying
Keep serving
Keep your eyes fixed on Jesus

And then one relational truth. Draw closer to Jesus – because of your need
Draw near 
and abide in Jesus

Create the relational conduit through which Jesus can pour his miraculous provision.

But listen, please. I’ve had to leave out all the details of how to create the daily relationship that becomes the conduit for Jesus to be your source.

So, let me give you three message series that you really need to study (at least the very first one) to learn the details of building this transforming relationship.

Alone With God” is my number one choice for you. (6 messages). It’s the details of building this relational conduit.

Abide” 10 messages on John 15 (the Abide Chapter) (This series is audio only).

The Fundamentals” (7 messages), which is the pre-courser to the “Alone With God” series.

I promise if you will learn to develop the daily relational conduit that will allow Jesus to pour his miraculous provision into your life. Then – Jesus will be your source for all that you need – in every situation in order to do all that he has called you to do.

And so, please, do not be hearers of the Word, only. Instead, be doers of the Word. Learn how to develop this daily relational conduit, and Jesus will be your source.